It remains to write out the whole of the notes further below unchanged.
+++
Material: NiBi
Method: DFT, r²SCAN
State: relaxed

Properties
As for the spin magnetization: 0.00 μB per formula unit. For the energy, the calculation gives -35.22 eV per atom. The calculation puts the volume at 19.25 A^3/atom.

abc: 4.1178 4.1181 5.2438
angles: 90.00 90.00 120.00
Last column: nearest neighbours and their distance in Å.
Fractional positions:
Ni (0.0000, 0.0000, 0.5000)  2 Ni 2.62, 6 Bi 2.71-2.72
Ni (0.0000, 0.0000, 0.0000)  2 Ni 2.62, 6 Bi 2.71-2.72
Bi (0.3333, 0.6666, 0.2500)  6 Ni 2.71-2.72
Bi (0.6667, 0.3334, 0.7500)  6 Ni 2.71-2.72

----------

Record 1
DySiRh | PBE | relaxed

Results
DFT formation energy	-3.15	eV/f.u.
space group	No. 62
V	18.17	A^3/atom

```
12
Lattice="6.9337 0.0000 0.0000 0.0000 4.2602 0.0000 0.0000 0.0000 7.3818" Properties=species:S:1:pos:R:3 pbc="T T T"
Dy 0.0103 1.0651 1.3967
Dy 3.4565 3.1952 5.0877
Dy 3.4772 1.0651 2.2942
Dy 6.9233 3.1952 5.9851
Si 1.4135 1.0651 4.4604
Si 2.0533 3.1952 0.7695
Si 4.8803 1.0651 6.6123
Si 5.5202 3.1952 2.9214
Rh 1.0677 3.1952 3.1768
Rh 2.3992 1.0651 6.8677
Rh 4.5345 3.1952 0.5142
Rh 5.8660 1.0651 4.2051
```

Record 2
Dy2Si5Rh3 | PBE | relaxed

Results
DFT formation energy	-9.73	eV/f.u.
space group	No. 15
V	16.50	A^3/atom

```
20
Lattice="5.5701 -5.9047 0.0000 5.5701 5.9047 0.0000 -2.6887 0.0000 5.0181" Properties=species:S:1:pos:R:3 pbc="T T T"
Dy 1.9495 1.5881 1.1949
Dy 0.6052 -1.5881 3.7039
Dy 7.8464 1.5881 1.3142
Dy 6.5020 -1.5881 3.8233
Si 3.5536 5.7670 3.7636
Si 1.5071 1.2247 4.2040
Si 3.5536 2.6318 3.7636
Si 4.8980 2.4764 1.2545
Si 2.8515 -1.2247 1.6949
Si 5.6001 1.2247 3.3232
Si 3.5536 -2.4764 3.7636
Si 4.8980 -2.6318 1.2545
Si 6.9444 -1.2247 0.8142
Si 4.8980 -5.7670 1.2545
Rh 3.4520 4.2507 1.8819
Rh 6.3439 4.2507 0.6272
Rh 4.8980 0.0211 1.2545
Rh 3.5536 -0.0211 3.7636
Rh 2.1076 -4.2507 4.3910
Rh 4.9995 -4.2507 3.1363
```

Record 3
Dy2Si5Rh3 | PBE | relaxed

Results
DFT formation energy	-9.71	eV/f.u.
space group	No. 72
V	16.55	A^3/atom

```
20
Lattice="-4.9461 5.8096 2.8804 4.9461 -5.8096 2.8804 4.9461 5.8096 -2.8804" Properties=species:S:1:pos:R:3 pbc="T T T"
Dy 2.2910 1.5352 0.0000
Dy 2.2910 -1.5352 2.8804
Dy 2.6551 7.3448 0.0000
Dy 2.6551 4.2743 2.8804
Si 4.9461 -2.5724 1.4402
Si 6.5065 1.2306 0.0000
Si 0.0000 0.0000 1.4402
Si 1.5604 4.5789 0.0000
Si 4.9461 2.5724 1.4402
Si 0.0000 3.2372 1.4402
Si 3.3857 1.2306 2.8804
Si 0.0000 0.0000 4.3207
Si -1.5604 4.5789 2.8804
Si 0.0000 8.3819 1.4402
Rh 3.8672 -4.1826 2.8804
Rh 4.9461 0.0000 1.4402
Rh 3.8672 4.1826 0.0000
Rh 1.0789 1.6270 2.8804
Rh 0.0000 5.8096 1.4402
Rh 1.0789 9.9921 0.0000
```

Record 4
Dy2Sn5Rh3 | PBE | relaxed

Results
DFT formation energy	-7.00	eV/f.u.
space group	No. 36
V	21.41	A^3/atom

```
20
Lattice="2.1990 -13.2750 0.0000 2.1990 13.2750 0.0000 0.0000 0.0000 7.3345" Properties=species:S:1:pos:R:3 pbc="T T T"
Dy 2.1990 12.6359 3.6673
Dy 2.1990 4.5918 3.8038
Dy 2.1990 -4.5918 0.1365
Dy 2.1990 -12.6359 0.0000
Sn 2.1990 10.7177 6.4384
Sn 2.1990 7.8418 2.2986
Sn 2.1990 7.7159 5.4321
Sn 2.1990 3.1716 7.2897
Sn 2.1990 1.2663 4.8455
Sn 2.1990 -1.2663 1.1783
Sn 2.1990 -3.1716 3.6224
Sn 2.1990 -7.7159 1.7649
Sn 2.1990 -7.8418 5.9658
Sn 2.1990 -10.7177 2.7711
Rh 2.1990 10.4645 1.8020
Rh 2.1990 5.9327 0.2073
Rh 2.1990 1.3318 2.0699
Rh 2.1990 -1.3318 5.7372
Rh 2.1990 -5.9327 3.8745
Rh 2.1990 -10.4645 5.4692
```

Record 5
DySnRh2 | PBE | relaxed

Results
DFT formation energy	-3.18	eV/f.u.
space group	No. 225
V	18.47	A^3/atom

```
16
Lattice="6.6604 0.0000 0.0000 0.0000 6.6604 0.0000 0.0000 0.0000 6.6604" Properties=species:S:1:pos:R:3 pbc="T T T"
Dy 0.0000 0.0000 0.0000
Dy 0.0000 3.3302 3.3302
Dy 3.3302 0.0000 3.3302
Dy 3.3302 3.3302 0.0000
Sn 0.0000 0.0000 3.3302
Sn 0.0000 3.3302 0.0000
Sn 3.3302 0.0000 0.0000
Sn 3.3302 3.3302 3.3302
Rh 1.6651 1.6651 1.6651
Rh 1.6651 1.6651 4.9953
Rh 1.6651 4.9953 1.6651
Rh 1.6651 4.9953 4.9953
Rh 4.9953 1.6651 1.6651
Rh 4.9953 1.6651 4.9953
Rh 4.9953 4.9953 1.6651
Rh 4.9953 4.9953 4.9953
```

Record 6
DySnRh | PBE | relaxed

Results
+++
Material: NiBi
Method: DFT, r²SCAN
State: relaxed

Properties
As for the spin magnetization: 0.00 μB per formula unit. For the energy, the calculation gives -35.22 eV per atom. The calculation puts the volume at 19.25 A^3/atom.

abc: 4.1178 4.1181 5.2438
angles: 90.00 90.00 120.00
Last column: nearest neighbours and their distance in Å.
Fractional positions:
Ni (0.0000, 0.0000, 0.5000)  2 Ni 2.62, 6 Bi 2.71-2.72
Ni (0.0000, 0.0000, 0.0000)  2 Ni 2.62, 6 Bi 2.71-2.72
Bi (0.3333, 0.6666, 0.2500)  6 Ni 2.71-2.72
Bi (0.6667, 0.3334, 0.7500)  6 Ni 2.71-2.72

----------

Record 1
DySiRh | PBE | relaxed

Results
DFT formation energy	-3.15	eV/f.u.
space group	No. 62
V	18.17	A^3/atom

```
12
Lattice="6.9337 0.0000 0.0000 0.0000 4.2602 0.0000 0.0000 0.0000 7.3818" Properties=species:S:1:pos:R:3 pbc="T T T"
Dy 0.0103 1.0651 1.3967
Dy 3.4565 3.1952 5.0877
Dy 3.4772 1.0651 2.2942
Dy 6.9233 3.1952 5.9851
Si 1.4135 1.0651 4.4604
Si 2.0533 3.1952 0.7695
Si 4.8803 1.0651 6.6123
Si 5.5202 3.1952 2.9214
Rh 1.0677 3.1952 3.1768
Rh 2.3992 1.0651 6.8677
Rh 4.5345 3.1952 0.5142
Rh 5.8660 1.0651 4.2051
```

Record 2
Dy2Si5Rh3 | PBE | relaxed

Results
DFT formation energy	-9.73	eV/f.u.
space group	No. 15
V	16.50	A^3/atom

```
20
Lattice="5.5701 -5.9047 0.0000 5.5701 5.9047 0.0000 -2.6887 0.0000 5.0181" Properties=species:S:1:pos:R:3 pbc="T T T"
Dy 1.9495 1.5881 1.1949
Dy 0.6052 -1.5881 3.7039
Dy 7.8464 1.5881 1.3142
Dy 6.5020 -1.5881 3.8233
Si 3.5536 5.7670 3.7636
Si 1.5071 1.2247 4.2040
Si 3.5536 2.6318 3.7636
Si 4.8980 2.4764 1.2545
Si 2.8515 -1.2247 1.6949
Si 5.6001 1.2247 3.3232
Si 3.5536 -2.4764 3.7636
Si 4.8980 -2.6318 1.2545
Si 6.9444 -1.2247 0.8142
Si 4.8980 -5.7670 1.2545
Rh 3.4520 4.2507 1.8819
Rh 6.3439 4.2507 0.6272
Rh 4.8980 0.0211 1.2545
Rh 3.5536 -0.0211 3.7636
Rh 2.1076 -4.2507 4.3910
Rh 4.9995 -4.2507 3.1363
```

Record 3
Dy2Si5Rh3 | PBE | relaxed

Results
DFT formation energy	-9.71	eV/f.u.
space group	No. 72
V	16.55	A^3/atom

```
20
Lattice="-4.9461 5.8096 2.8804 4.9461 -5.8096 2.8804 4.9461 5.8096 -2.8804" Properties=species:S:1:pos:R:3 pbc="T T T"
Dy 2.2910 1.5352 0.0000
Dy 2.2910 -1.5352 2.8804
Dy 2.6551 7.3448 0.0000
Dy 2.6551 4.2743 2.8804
Si 4.9461 -2.5724 1.4402
Si 6.5065 1.2306 0.0000
Si 0.0000 0.0000 1.4402
Si 1.5604 4.5789 0.0000
Si 4.9461 2.5724 1.4402
Si 0.0000 3.2372 1.4402
Si 3.3857 1.2306 2.8804
Si 0.0000 0.0000 4.3207
Si -1.5604 4.5789 2.8804
Si 0.0000 8.3819 1.4402
Rh 3.8672 -4.1826 2.8804
Rh 4.9461 0.0000 1.4402
Rh 3.8672 4.1826 0.0000
Rh 1.0789 1.6270 2.8804
Rh 0.0000 5.8096 1.4402
Rh 1.0789 9.9921 0.0000
```

Record 4
Dy2Sn5Rh3 | PBE | relaxed

Results
DFT formation energy	-7.00	eV/f.u.
space group	No. 36
V	21.41	A^3/atom

```
20
Lattice="2.1990 -13.2750 0.0000 2.1990 13.2750 0.0000 0.0000 0.0000 7.3345" Properties=species:S:1:pos:R:3 pbc="T T T"
Dy 2.1990 12.6359 3.6673
Dy 2.1990 4.5918 3.8038
Dy 2.1990 -4.5918 0.1365
Dy 2.1990 -12.6359 0.0000
Sn 2.1990 10.7177 6.4384
Sn 2.1990 7.8418 2.2986
Sn 2.1990 7.7159 5.4321
Sn 2.1990 3.1716 7.2897
Sn 2.1990 1.2663 4.8455
Sn 2.1990 -1.2663 1.1783
Sn 2.1990 -3.1716 3.6224
Sn 2.1990 -7.7159 1.7649
Sn 2.1990 -7.8418 5.9658
Sn 2.1990 -10.7177 2.7711
Rh 2.1990 10.4645 1.8020
Rh 2.1990 5.9327 0.2073
Rh 2.1990 1.3318 2.0699
Rh 2.1990 -1.3318 5.7372
Rh 2.1990 -5.9327 3.8745
Rh 2.1990 -10.4645 5.4692
```

Record 5
DySnRh2 | PBE | relaxed

Results
DFT formation energy	-3.18	eV/f.u.
space group	No. 225
V	18.47	A^3/atom

```
16
Lattice="6.6604 0.0000 0.0000 0.0000 6.6604 0.0000 0.0000 0.0000 6.6604" Properties=species:S:1:pos:R:3 pbc="T T T"
Dy 0.0000 0.0000 0.0000
Dy 0.0000 3.3302 3.3302
Dy 3.3302 0.0000 3.3302
Dy 3.3302 3.3302 0.0000
Sn 0.0000 0.0000 3.3302
Sn 0.0000 3.3302 0.0000
Sn 3.3302 0.0000 0.0000
Sn 3.3302 3.3302 3.3302
Rh 1.6651 1.6651 1.6651
Rh 1.6651 1.6651 4.9953
Rh 1.6651 4.9953 1.6651
Rh 1.6651 4.9953 4.9953
Rh 4.9953 1.6651 1.6651
Rh 4.9953 1.6651 4.9953
Rh 4.9953 4.9953 1.6651
Rh 4.9953 4.9953 4.9953
```

Record 6
DySnRh | PBE | relaxed

Results